Given
____________
# RbAc2PuO6
Simulated X-ray powder pattern, Cu Kα X-rays. Input: a PBE-relaxed structure.

Main lines, low angle first (10° ≤ 2θ ≤ 90°):
2θ (°), d (Å), Rel. int.
26.8, 3.323, 84
28.0, 3.189, 100
39.2, 2.301, 34
43.2, 2.093, 35
48.8, 1.866, 36
49.5, 1.841, 27

Structure:
Unit cell a=6.6585 b=6.6585 c=6.6585 alpha=57.23 beta=57.23 gamma=57.23
Fractional positions:
Rb  0.0000  0.0000  0.0000
Ac  0.2557  0.2557  0.2557
Ac  0.7719  0.7719  0.7719
Pu  0.4637  0.4637  0.4637
O  0.1056  0.6040  0.4272
O  0.2138  0.5338  0.8259
O  0.4272  0.1056  0.6040
O  0.5338  0.8259  0.2138
O  0.6040  0.4272  0.1056
O  0.8259  0.2138  0.5338

***

# Tl2Bi2Cl7
Simulated X-ray powder pattern, Cu Kα X-rays. Input: a PBE-relaxed structure.

Main lines, low angle first (10° ≤ 2θ ≤ 90°):
2θ (°), d (Å), Rel. int.
19.0, 4.670, 66
20.4, 4.363, 68
23.8, 3.740, 100
25.0, 3.561, 46
30.0, 2.974, 41
37.0, 2.430, 41

Structure:
Unit cell a=7.4374 b=7.4374 c=6.9297 alpha=93.16 beta=93.16 gamma=73.43
Fractional positions:
Tl  0.2303  0.7697  0.0000
Tl  0.7697  0.2303  0.0000
Bi  0.2373  0.2373  0.5753
Bi  0.7627  0.7627  0.4247
Cl  0.0000  0.0000  0.5000
Cl  0.0615  0.4966  0.2635
Cl  0.4450  0.4450  0.7369
Cl  0.4966  0.0615  0.2635
Cl  0.5034  0.9385  0.7365
Cl  0.5550  0.5550  0.2631
Cl  0.9385  0.5034  0.7365
____________

What to do
Please say how many lines of the lines further up hold the word "positions", as a bare number.

Reply
2